It remains to search the data further below for the word "Hg2" and transcribe each line that has it.

-- begin --
1.
## ScHIrPb2 (SCAN)

Data for a PBEsol-optimized structure of ScHIrPb2.

Cell lengths 3.9771, 4.6284, 4.6284 Å; angles 90.00, 90.00, 90.00 degrees
Closest atoms and distances in Å follow each position.
Positions (direct):
Ir  0.5000  0.5000  0.5000  8 Pb 3.05, 4 Sc 3.27
Pb  0.0000  0.5000  0.0000  2 H 2.31
H  0.0000  0.0000  0.0000  2 Sc 1.99
Pb  0.0000  0.0000  0.5000  2 H 2.31
Sc  0.5000  0.0000  0.0000  2 H 1.99

Computed properties:
Its total energy is -239.68 eV for the cell shown.



2.
## SrHIrPd2 (SCAN)

Data for a PBEsol-optimized structure of SrHIrPd2.

Cell lengths 5.0638, 5.1325, 5.1325 Å; angles 90.00, 90.00, 90.00 degrees
Closest atoms and distances in Å follow each position.
Positions (direct):
Pd  0.0000  0.5000  0.0000  2 Sr 2.57
Pd  0.0000  0.0000  0.5000  2 Sr 2.57
H  0.5000  0.5000  0.5000  8 Pd 3.61, 4 Ir 3.63
Sr  0.0000  0.0000  0.0000  2 Ir 2.53, 4 Pd 2.57
Ir  0.5000  0.0000  0.0000  2 Sr 2.53

Computed properties:
Its total energy is -151.42 eV for the cell shown.



3.
## Rb2H2Ir (SCAN)

Data for a PBEsol-optimized structure of Rb2H2Ir.

Cell lengths 4.9045, 5.9349, 5.9349 Å; angles 90.00, 90.00, 90.00 degrees
Closest atoms and distances in Å follow each position.
Positions (direct):
H  0.0000  0.7705  0.7295  2 Ir 2.11
H  0.0000  0.7295  0.2295  2 Ir 2.11
Rb  0.5000  0.6764  0.8236  2 H 2.58
H  0.0000  0.2705  0.7705  2 Ir 2.11
H  0.0000  0.2295  0.2705  2 Ir 2.11
Rb  0.5000  0.1764  0.6764  2 H 2.58
Ir  0.0000  0.5000  0.5000  4 H 2.11
Ir  0.0000  0.0000  0.0000  4 H 2.11
Rb  0.5000  0.3236  0.1764  2 H 2.58
Rb  0.5000  0.8236  0.3236  2 H 2.58

Computed properties:
Its total energy is -233.30 eV for the cell shown.



Copy entry 1 word for word.
## ScHIrPb2 (SCAN)

Data for a PBEsol-optimized structure of ScHIrPb2.

Cell lengths 3.9771, 4.6284, 4.6284 Å; angles 90.00, 90.00, 90.00 degrees
Closest atoms and distances in Å follow each position.
Positions (direct):
Ir  0.5000  0.5000  0.5000  8 Pb 3.05, 4 Sc 3.27
Pb  0.0000  0.5000  0.0000  2 H 2.31
H  0.0000  0.0000  0.0000  2 Sc 1.99
Pb  0.0000  0.0000  0.5000  2 H 2.31
Sc  0.5000  0.0000  0.0000  2 H 1.99

Computed properties:
Its total energy is -239.68 eV for the cell shown.

~~~~~

(1)
# CdInHg, PBEsol geometry, DFT meta-GGA SCAN
data_CdInHg
_chemical_formula_sum 'Cd2 In2 Hg2'
_cell_length_a 3.288
_cell_length_b 3.288
_cell_length_c 12.779
_cell_angle_alpha 90.00
_cell_angle_beta 90.00
_cell_angle_gamma 90.00
_symmetry_space_group_name_H-M 'I 4 m m'
_symmetry_Int_Tables_number 107
_symmetry_space_group_name_Hall 'I 4 -2'
loop_
_atom_site_label
_atom_site_type_symbol
_atom_site_fract_x
_atom_site_fract_y
_atom_site_fract_z
Cd1 Cd 0.000 0.000 0.000
In1 In 0.000 0.000 0.329
Hg1 Hg 0.000 0.000 0.657
# Calculated formation energy, eV per atom: 0.04
# Total magnetization, μB per formula unit: 0.00

---

(2)
# Cd2In2Hg, PBEsol geometry, DFT meta-GGA SCAN
data_Cd2In2Hg
_chemical_formula_sum 'Cd4 In4 Hg2'
_cell_length_a 4.140
_cell_length_b 4.140
_cell_length_c 14.669
_cell_angle_alpha 90.00
_cell_angle_beta 90.00
_cell_angle_gamma 90.00
_symmetry_space_group_name_H-M 'I 4/m m m'
_symmetry_Int_Tables_number 139
_symmetry_space_group_name_Hall '-I 4 2'
loop_
_atom_site_label
_atom_site_type_symbol
_atom_site_fract_x
_atom_site_fract_y
_atom_site_fract_z
Cd1 Cd 0.000 0.500 0.250
In1 In 0.000 0.000 0.099
Hg1 Hg 0.000 0.000 0.500
# Calculated formation energy, eV per atom: 0.10
# Total magnetization, μB per formula unit: 0.00
# Energy relative to the lowest polymorph listed for this composition, meV per atom: 23

---

(3)
# CdInHg, PBEsol geometry, DFT meta-GGA SCAN
data_CdInHg
_chemical_formula_sum 'Cd4 In4 Hg4'
_cell_length_a 6.693
_cell_length_b 6.693
_cell_length_c 6.693
_cell_angle_alpha 90.00
_cell_angle_beta 90.00
_cell_angle_gamma 90.00
_symmetry_space_group_name_H-M 'F -4 3 m'
_symmetry_Int_Tables_number 216
_symmetry_space_group_name_Hall 'F -4 2 3'
loop_
_atom_site_label
_atom_site_type_symbol
_atom_site_fract_x
_atom_site_fract_y
-- stop --

_chemical_formula_sum 'Cd2 In2 Hg2'
_chemical_formula_sum 'Cd4 In4 Hg2'